Input.
~~~
(1)
Formula: C4H7NOS
Source: the Open Molecules 2025 dataset
Level of theory: ωB97M-V/def2-TZVPD

Structure (XYZ):
```
14
Properties=species:S:1:pos:R:3:lowdin_charge:R:1
C -0.32222 -1.21062 -0.24415 -0.1888
S -1.61505 0.11459 0.15097 0.8136
C -0.62744 1.48218 -0.03578 -0.2717
H 1.29496 1.68225 0.97018 0.1275
N 1.42452 0.52814 -1.03636 0.0291
H -2.22308 -0.47770 1.51573 0.0860
H 0.83415 0.70786 -1.86827 0.1234
C 0.98156 -0.43955 -0.13997 -0.3532
C 0.77844 1.09522 0.20727 -0.2819
O -2.78684 0.18702 -0.71452 -0.4514
H -0.66309 -1.64371 -1.18588 0.1005
H -0.33543 -1.92444 0.57958 0.0831
H 1.70535 -0.96571 0.58344 0.1553
H -0.94927 2.37750 0.33581 0.0284
```

Summary:
maximum force	3.845	eV/Å
SMILES string	O=[S@@H]1=C[C@@H]2N[C@@H]2C1
E_tot	-684.59984	a.u.
LUMO level	0.123	eV
relative energy (zero: lowest compared OMol25 entry of this formula, charge and spin)	130.0	kcal per mole


(2)
Formula: C4H7NOS
Source: the Open Molecules 2025 dataset
Level of theory: ωB97M-V/def2-TZVPD

Structure (XYZ):
```
14
Properties=species:S:1:pos:R:3:lowdin_charge:R:1
C 1.06075 1.61620 0.18178 -0.1203
C 0.98683 0.10467 -0.01403 -0.8076
H 0.41922 -2.27051 0.59753 0.0652
H 1.88568 1.94119 0.77552 0.0601
H 1.32460 2.08362 -0.77539 0.0889
O -2.56519 -0.07520 -0.30537 0.0384
C -1.41113 0.34245 -0.38647 -0.2900
H -1.12857 1.34310 -0.86493 0.1507
N -0.31301 -0.40999 -0.02895 -0.1610
S 2.31587 -0.76745 -0.34891 0.7259
H 0.13748 2.06036 0.66838 0.0951
C -0.54982 -1.83587 0.21833 -0.0472
H -1.27444 -1.86602 1.02885 0.0905
H -0.88826 -2.26656 -0.74634 0.1112
```

Summary:
maximum force	2.119	eV/Å
SMILES string	CC(=S)N(C)C=O
E_tot	-684.77934	a.u.
LUMO level	-0.297	eV
relative energy (zero: lowest compared OMol25 entry of this formula, charge and spin)	17.4	kcal per mole


(3)
Formula: C4H7NOS
Source: the Open Molecules 2025 dataset
Level of theory: ωB97M-V/def2-TZVPD

Structure (XYZ):
```
14
Properties=species:S:1:pos:R:3:lowdin_charge:R:1
N -1.04474 -1.11232 0.38299 0.0102
H -1.69664 -0.70976 -1.71639 0.1037
C 0.37339 -0.25117 -0.94630 -0.5664
C 0.44712 0.64587 1.50056 -0.2529
C 0.32528 -0.51874 0.59252 -0.3084
H 2.16985 1.26587 -0.99093 -0.1387
S 1.01907 1.29828 -1.70892 0.7251
C -1.21029 -0.34267 -0.81426 -0.2379
H 1.48302 0.97596 1.85929 0.1419
H 0.73508 -1.18238 -1.38159 0.0971
H -1.56239 0.70724 -0.68191 0.1123
O -0.50690 1.25300 1.90523 0.0630
H 1.13209 -1.23787 0.87325 0.1441
H -1.66394 -0.79131 1.12643 0.1067
```

Summary:
maximum force	3.358	eV/Å
SMILES string	O=C[C@H]1NC[C@H]1S
E_tot	-684.73082	a.u.
LUMO level	0.571	eV
relative energy (zero: lowest compared OMol25 entry of this formula, charge and spin)	47.8	kcal per mole


(4)
Formula: C4H7NOS
Source: the Open Molecules 2025 dataset
Level of theory: ωB97M-V/def2-TZVPD

Structure (XYZ):
```
14
Properties=species:S:1:pos:R:3:lowdin_charge:R:1
S -1.31085 1.31710 0.74189 1.0181
N -0.38412 -1.06125 0.59018 0.0195
C -1.67155 -1.14093 0.19906 -0.2429
H 1.94870 -0.49234 1.21371 0.1073
H -3.24529 0.44452 -0.01704 0.0269
O 0.11820 0.65454 -1.77584 -0.1119
H -2.26943 -2.02084 0.05247 0.1019
H -0.22831 1.20125 -2.52928 0.0776
C 1.38454 0.51088 1.30744 -0.0713
H -0.42383 -0.12388 -1.55391 0.0144
C -2.31063 0.06997 0.19958 -0.4323
H 1.72525 1.27165 0.64492 0.0550
H 1.45080 0.67670 2.42298 0.0929
C 0.02091 0.09747 0.79550 -0.6554
```

Summary:
maximum force	4.570	eV/Å
SMILES string	Cc1nccs1.O
E_tot	-684.76195	a.u.
LUMO level	0.660	eV
relative energy (zero: lowest compared OMol25 entry of this formula, charge and spin)	28.3	kcal per mole


(5)
Formula: C4H7NOSi
Source: the Open Molecules 2025 dataset
Level of theory: ωB97M-V/def2-TZVPD

Structure (XYZ):
```
14
Properties=species:S:1:pos:R:3:lowdin_charge:R:1
H -3.42963 1.10321 -0.29771 0.0393
O 0.77090 1.76320 0.02189 -0.0351
H 3.06869 -0.59874 -0.36689 0.0717
C 2.07121 -0.28023 -0.23799 -0.1079
Si -1.29716 0.16141 -0.40668 0.7453
H -0.77271 -2.13551 0.54599 0.0399
C 1.75194 1.08787 -0.02463 -0.3862
H -3.24650 0.24641 1.14676 0.0563
~~~
What to do.
Count the lines earlier on that contain the word "energy" and give the number alone.
Solution.
4